# 1
Molecular formula: C3H4N2O
Method: DFT, wB97M-V/def2-TZVPD

Cartesian coordinates (Å):
C: 1.810 0.057 -0.641
N: 2.500 0.801 -1.201
O: 3.234 1.559 -1.787
H: 1.071 -0.523 -0.108
C: -2.167 0.854 0.178
C: -1.492 -0.087 0.506
N: -0.667 -1.127 0.844
H: -2.775 1.683 -0.105
H: -0.984 -2.014 0.469
H: -0.529 -1.203 1.846

Computed properties:
E_HOMO: -9.634 eV
total charge: 0
maximum force: 0.84 eV Å⁻¹
ΔE to the lowest compared entry with this formula, charge and spin: 5.489 eV
SMILES string: C#[N+][O-].C#CN

# 2
Molecular formula: C20H42Cl12N3O4Pd
Method: DFT, wB97M-V/def2-TZVPD

Cartesian coordinates (Å):
Pd: 2.310 -4.359 -1.289
C: 1.542 0.720 -0.210
C: 0.337 -0.099 -0.630
O: 0.706 -1.323 -1.363
H: 1.272 1.762 -0.038
H: 2.331 0.790 -0.958
H: 2.053 0.341 0.676
H: -0.491 0.399 -1.135
H: -0.148 -0.405 0.297
Cl: 0.217 -0.870 -7.867
C: -0.563 -0.069 -6.401
C: -1.601 -0.917 -5.600
Cl: -2.491 -2.009 -6.632
H: -1.008 0.800 -6.884
H: 0.226 0.309 -5.750
H: -2.278 -0.231 -5.091
H: -1.062 -1.558 -4.903
Cl: 2.166 7.496 3.158
C: 2.423 5.857 3.895
C: 1.895 5.690 5.355
Cl: 2.578 4.186 6.037
H: 3.503 5.715 3.878
H: 2.050 5.115 3.188
H: 0.816 5.841 5.388
H: 2.319 6.499 5.950
Cl: 6.313 0.504 4.804
C: 4.994 -0.006 3.705
C: 4.114 -1.138 4.250
Cl: 3.447 -0.650 5.870
H: 5.397 -0.217 2.714
H: 4.519 0.974 3.652
H: 4.852 -1.893 4.523
H: 3.479 -1.661 3.534
Cl: -3.798 -0.584 7.211
C: -2.520 -0.869 5.998
C: -2.757 -0.399 4.609
Cl: -2.458 1.244 4.592
H: -2.401 -1.951 5.929
H: -1.596 -0.469 6.414
H: -3.762 -0.647 4.268
H: -1.996 -0.854 3.976
C: 5.773 -3.035 -4.616
O: 4.902 -2.936 -3.755
N: 6.223 -2.010 -5.289
C: 7.169 -1.963 -6.413
C: 5.615 -0.683 -4.974
H: 6.267 -3.982 -4.883
H: 8.014 -1.301 -6.225
H: 6.830 -1.659 -7.404
H: 7.608 -2.955 -6.518
H: 4.690 -0.725 -5.549
H: 5.413 -0.571 -3.909
H: 6.265 0.125 -5.311
C: -1.339 -5.154 2.110
O: -0.560 -4.949 1.198
N: -2.648 -4.808 2.249
C: -3.506 -5.165 3.370
C: -3.387 -3.970 1.307
H: -1.093 -5.905 2.877
H: -2.893 -5.607 4.155
H: -4.217 -5.963 3.154
H: -4.194 -4.397 3.724
H: -2.717 -3.809 0.463
H: -4.225 -4.492 0.844
H: -3.658 -3.021 1.771
C: -7.822 1.332 -1.223
O: -8.693 0.467 -0.948
N: -6.832 1.740 -0.391
C: -6.728 1.110 1.006
C: -5.792 2.556 -0.896
H: -7.875 1.922 -2.151
H: -5.944 0.355 0.959
H: -7.641 0.547 1.201
H: -6.560 1.789 1.842
H: -4.801 2.188 -0.631
H: -5.760 2.674 -1.979
H: -5.893 3.619 -0.677
C: 1.011 5.522 -3.547
Cl: 1.244 6.266 -5.147
Cl: 0.635 6.831 -2.328
Cl: -0.287 4.317 -3.615
Cl: 2.482 4.637 -2.971

Computed properties:
spin multiplicity: 3
E_HOMO (spin up / spin down): -10.886 / -10.886 eV
total charge: +1
maximum force: 3.70 eV Å⁻¹

Look up the maximum force of the first one.
0.84 eV Å⁻¹

maximum force of number 1 (C3H4N2O)?
0.84 eV Å⁻¹

~~~~~

# 1
Entry from the OMol25 dataset: a cluster of 10 separate species, C23H45N3O17 in total (the ωB97M-V functional and the def2-TZVPD basis).

Output
HOMO in hartree: -0.0318
Kohn-Sham gap in Ha: 0.2282
DFT total energy in eV: -63860.1410
Spin multiplicity: 1
Net charge: -4

Atoms and positions in Å:
H -0.11 4.16 9.40
O 5.73 1.30 4.76
C -5.57 5.60 -5.72
C -4.88 -1.05 -4.35
N 0.64 -1.38 3.02
C 9.32 0.12 -1.72
O -2.95 -5.10 -7.73
H -8.22 2.27 -0.42
O 7.75 -1.30 -0.62
H -6.61 1.59 -0.26
C -7.88 -1.53 -5.04
H -7.12 2.82 0.84
O -3.76 -3.82 -5.98
C 4.67 0.96 5.23
H -0.72 -3.06 5.25
H -2.25 -7.38 2.22
H -7.00 4.13 -6.59
C -1.41 -3.84 -6.42
H 2.64 -1.44 2.26
O -0.19 -3.44 2.70
C -0.16 -2.38 3.35
C 1.20 3.28 7.95
H 6.82 2.98 -0.74
H -0.18 -4.81 3.47
H 8.12 4.22 -2.86
C 0.29 4.36 8.40
C -0.93 -2.19 4.62
O 0.99 2.75 6.84
N 7.26 0.96 -0.68
H 8.27 2.51 -1.54
H -5.09 -1.49 -5.31
C 8.01 -0.12 -1.01
H -7.45 4.67 -5.03
H -0.58 4.46 7.66
C 9.01 4.06 -3.49
O -7.67 -0.24 1.34
H 6.63 2.24 -2.29
H 0.71 5.35 8.59
H -0.79 -4.22 -7.23
C -7.98 0.91 1.26
H -8.92 -1.24 -4.87
C 7.23 2.25 -1.38
H 5.31 0.71 7.23
H -1.39 -5.98 1.67
H 9.21 1.05 -2.31
H 10.05 0.33 -0.92
H -7.37 -0.71 -5.50
H -1.27 -2.77 -6.42
H 6.51 0.83 0.02
O -7.95 -2.15 -2.70
H 3.61 0.40 7.13
H -1.08 -4.30 -5.49

Could you start at the top of the data further above and echo each line, ending with the one that has "-3.76 -3.82"?

# 1
Molecular formula: C3H4N2O
Method: DFT, wB97M-V/def2-TZVPD

Cartesian coordinates (Å):
C: 1.810 0.057 -0.641
N: 2.500 0.801 -1.201
O: 3.234 1.559 -1.787
H: 1.071 -0.523 -0.108
C: -2.167 0.854 0.178
C: -1.492 -0.087 0.506
N: -0.667 -1.127 0.844
H: -2.775 1.683 -0.105
H: -0.984 -2.014 0.469
H: -0.529 -1.203 1.846

Computed properties:
E_HOMO: -9.634 eV
total charge: 0
maximum force: 0.84 eV Å⁻¹
ΔE to the lowest compared entry with this formula, charge and spin: 5.489 eV
SMILES string: C#[N+][O-].C#CN

# 2
Molecular formula: C20H42Cl12N3O4Pd
Method: DFT, wB97M-V/def2-TZVPD

Cartesian coordinates (Å):
Pd: 2.310 -4.359 -1.289
C: 1.542 0.720 -0.210
C: 0.337 -0.099 -0.630
O: 0.706 -1.323 -1.363
H: 1.272 1.762 -0.038
H: 2.331 0.790 -0.958
H: 2.053 0.341 0.676
H: -0.491 0.399 -1.135
H: -0.148 -0.405 0.297
Cl: 0.217 -0.870 -7.867
C: -0.563 -0.069 -6.401
C: -1.601 -0.917 -5.600
Cl: -2.491 -2.009 -6.632
H: -1.008 0.800 -6.884
H: 0.226 0.309 -5.750
H: -2.278 -0.231 -5.091
H: -1.062 -1.558 -4.903
Cl: 2.166 7.496 3.158
C: 2.423 5.857 3.895
C: 1.895 5.690 5.355
Cl: 2.578 4.186 6.037
H: 3.503 5.715 3.878
H: 2.050 5.115 3.188
H: 0.816 5.841 5.388
H: 2.319 6.499 5.950
Cl: 6.313 0.504 4.804
C: 4.994 -0.006 3.705
C: 4.114 -1.138 4.250
Cl: 3.447 -0.650 5.870
H: 5.397 -0.217 2.714
H: 4.519 0.974 3.652
H: 4.852 -1.893 4.523
H: 3.479 -1.661 3.534
Cl: -3.798 -0.584 7.211
C: -2.520 -0.869 5.998
C: -2.757 -0.399 4.609
Cl: -2.458 1.244 4.592
H: -2.401 -1.951 5.929
H: -1.596 -0.469 6.414
H: -3.762 -0.647 4.268
H: -1.996 -0.854 3.976
C: 5.773 -3.035 -4.616
O: 4.902 -2.936 -3.755
N: 6.223 -2.010 -5.289
C: 7.169 -1.963 -6.413
C: 5.615 -0.683 -4.974
H: 6.267 -3.982 -4.883
H: 8.014 -1.301 -6.225
H: 6.830 -1.659 -7.404
H: 7.608 -2.955 -6.518
H: 4.690 -0.725 -5.549
H: 5.413 -0.571 -3.909
H: 6.265 0.125 -5.311
C: -1.339 -5.154 2.110
O: -0.560 -4.949 1.198
N: -2.648 -4.808 2.249
C: -3.506 -5.165 3.370
C: -3.387 -3.970 1.307
H: -1.093 -5.905 2.877
H: -2.893 -5.607 4.155
H: -4.217 -5.963 3.154
H: -4.194 -4.397 3.724
H: -2.717 -3.809 0.463
H: -4.225 -4.492 0.844
H: -3.658 -3.021 1.771
C: -7.822 1.332 -1.223
O: -8.693 0.467 -0.948
N: -6.832 1.740 -0.391
C: -6.728 1.110 1.006
C: -5.792 2.556 -0.896
H: -7.875 1.922 -2.151
H: -5.944 0.355 0.959
H: -7.641 0.547 1.201
H: -6.560 1.789 1.842
H: -4.801 2.188 -0.631
H: -5.760 2.674 -1.979
H: -5.893 3.619 -0.677
C: 1.011 5.522 -3.547
Cl: 1.244 6.266 -5.147
Cl: 0.635 6.831 -2.328
Cl: -0.287 4.317 -3.615
Cl: 2.482 4.637 -2.971

Computed properties:
spin multiplicity: 3
E_HOMO (spin up / spin down): -10.886 / -10.886 eV
total charge: +1
maximum force: 3.70 eV Å⁻¹

Look up the maximum force of the first one.
0.84 eV Å⁻¹

maximum force of number 1 (C3H4N2O)?
0.84 eV Å⁻¹

~~~~~

# 1
Entry from the OMol25 dataset: a cluster of 10 separate species, C23H45N3O17 in total (the ωB97M-V functional and the def2-TZVPD basis).

Output
HOMO in hartree: -0.0318
Kohn-Sham gap in Ha: 0.2282
DFT total energy in eV: -63860.1410
Spin multiplicity: 1
Net charge: -4

Atoms and positions in Å:
H -0.11 4.16 9.40
O 5.73 1.30 4.76
C -5.57 5.60 -5.72
C -4.88 -1.05 -4.35
N 0.64 -1.38 3.02
C 9.32 0.12 -1.72
O -2.95 -5.10 -7.73
H -8.22 2.27 -0.42
O 7.75 -1.30 -0.62
H -6.61 1.59 -0.26
C -7.88 -1.53 -5.04
H -7.12 2.82 0.84
O -3.76 -3.82 -5.98